A new study aimed to assess the DNA heritage of all Europeans using DNA from several ancient individuals and from more than 2,000 modern Europeans.
The study reveals that all Europeans are a mix of hunter-gatherers and farmers arriving via the Middle East and the Near East many thousands of years ago. It also reveals that later larger immigration’s to Europe was by people who were also related to the indigenous peoples of the Americas.
Prehistoric DNA
The DNA indicates that Europe was populated in three large waves of immigrating Homo Sapiens, this is contrary to previous belief that there were only two waves in total.
Johannes Krause is a professor of archaeogenetics at the Eberhard Karls University of Tübingen, Germany. He and his team mapped DNA from ancient peoples around Europe. For example, they extracted DNA from bones of an 8,000-year-old corpse found at a burial site on the bottom of a small lake in Sweden. Another ancient corpse was a 7,000-year-old farmer found in Germany, see featured image to the left.
Krause concludes that all modern Europeans are a mixture of three genetic components. Excluding those who are unable to trace their ancestors to Europe before modern migrations and globalization.
Three Waves
The first humans who arrived in Europe more than 40,000 years ago were hunters and gatherers. Later, around 8,000 years ago, the second wave of immigrating humans came via the near East and the Middle East and brought agriculture to the European continent.
These two waves have been well established by previous scientific evidence. But this new study shows that there was a third wave of humans moving into Europe at the beginning of the bronze age. These humans came from the steppe lands of eastern Europe and Asia and arrived in Europe less than 7,000 years ago.
This last group of European ancestors came via Siberia and thereby also constitute a genetic link to the first Americans. Making Europeans actually more closely related to Native Americans than people living in Southeast Asia, as America was first colonized via northern Asia over the Bering land bridge.
“It seems clear now that the third group linking Europeans and Native Americans arrives in Central Europe after the early farmers,” explains Johannes Krause from the University of Tübingen and director of the Max Planck Institute for History and Sciences in Jena, Germany. “We are however not sure yet when the Northern Eurasian component enters central Europe”
After this last wave of immigrants arriving during the Bronze Age, the genetic makeup of Europe remained largely stable. With no signs of any major migration until the globalization and population movements of the modern era.
Blue Eyes and Blonde Hair
The researchers made another major finding. The typical northern European appearance with fair skin, hair, and blue or green eyes appear to have existed in Europe before any of the later migrations. It was previously thought that these genetic traits resulted from mutations among the later immigrating agricultural humans. As fair skin produce more vitamin D. The previous notion was that agricultural humans had adapted to less meat and therefore less dietary vitamin D and were, therefore, more dependent on receiving vitamin D from sunlight.
But since blonde hair and blue eyes existed among the first humans in Europe, before later immigrants, the adaptations to less sunlight must be much older. The first humans migrating into Europe were hunter and gatherers, and they too must have suffered from vitamin D deficiency. Even though they ate a diet more abundant in vitamin D compared to later immigrating humans. These first Europeans were probably who first developed these quite unique European traits of appearance.
Mitochondrial DNA
Recent genetic studies of Mitochondrial DNA (mtDNA or mDNA), the DNA located in mitochondria, provides us with more evidence about these early migrating human populations. Differences in human mitochondrial DNA haplogroups can define human mitochondrial DNA and be used to represent the major branch points on the historical mitochondrial phylogenetic tree. To enable us to understand the evolutionary path of the female lineage and trace the inheritance of modern humans back to human origins in Africa and our subsequent spread around the globe. These studies indicate that the first Europeans belonged to Haplogroup U.
This is the oldest mtDNA in Europe that’s Homo Sapien with an estimated age being 50,000 years old but could be as old as 60,500 years. So the presence of haplogroup U5 in Europe pre-dates the expansion of agriculture in Europe. Haplogroup U5 is today found throughout Europe with an average frequency ranging from 5% to 12% in most regions. Most common in north-east Europe with nearly half of all Sami and one-fifth of Finnish maternal lineages belong to U5 as shown in among other studies, A recent genetic link between Sami and the Volga-Ural region of Russia.
Neanderthal Origin?
It can also be hypothesized that many northern European traits are in fact a genetic heritage from Neanderthals. As Neanderthals existed in Europe for many hundreds of thousands of years longer than Homo Sapiens. They had a head start of about 200,000 years of evolution and potential adaptation to a colder and darker Europe.
As shown in more recent research, most Europeans have a few percentage of Neanderthal DNA. And as a 2007 genetic study A Melanocortin 1 Receptor Allele Suggests Varying Pigmentation Among Neanderthals suggest, some Neanderthals may have had red hair and blond hair, along with a light skin tone.
The study Ancient human genomes suggest three ancestral populations for present-day Europeans has been published in this week’s issue of Nature.
A Melanocortin 1 Receptor Allele Suggests Varying Pigmentation Among Neanderthals
Ancient human genomes suggest three ancestral populations for present-day Europeans
**Misplaced data records**
********
one:
Density functional theory data (GGA-PBE) for crystalline AcMgCd2 at its relaxed geometry.

Its total magnetization is 0.0 μB per formula unit.

Unit cell a=5.331 b=5.331 c=4.137 alpha=90.00 beta=90.00 gamma=90.00
Space group P4/mmm (No. 123)
Unique sites:
Ac (0.000, 0.000, 0.000) x1
Mg (0.500, 0.500, 0.000) x1
Cd (0.000, 0.500, 0.500) x2

***

two:
Density functional theory data (GGA-PBE) for crystalline AcMgCd2 at its relaxed geometry.

Its total magnetization is 0.0 μB per formula unit.

Unit cell a=7.791 b=5.053 c=11.412 alpha=90.00 beta=90.00 gamma=90.00
Space group Pnma (No. 62)
Unique sites:
Ac (0.208, 0.250, 0.167) x4
Mg (0.040, 0.750, 0.399) x4
Cd (0.086, 0.250, 0.852) x4
Cd (0.219, 0.750, 0.962) x4

***

three:
Density functional theory data (GGA-PBE) for crystalline AcMgCd2 at its relaxed geometry.

Its total magnetization is 0.0 μB per formula unit.

Unit cell a=3.788 b=3.788 c=7.720 alpha=90.00 beta=90.00 gamma=90.00
Space group P4/mmm (No. 123)
Unique sites:
Ac (0.000, 0.000, 0.000) x1
Mg (0.000, 0.000, 0.500) x1
Cd (0.500, 0.500, 0.296) x2

***

Which is most stable? The ranking, best first, is two, three, one.
********
**The data records stop here**
The Western and Eastern Roots of the Saami—the Story of Genetic “Outliers” Told by Mitochondrial DNA and Y Chromosomes
Genetics and the population history of Europe
A recent genetic link between Sami and the Volga-Ural region of Russia